12-08-06, 9:12 am
According to the New York Times and Washington Post leaked versions of the Iraq Study Group’s consensus position (Nov. 29 and 30), their recommendations will tinker around the edges of Bush’s strategy, but not propose a wholesale alteration, let alone an actual policy reversal. They will likely add a more active diplomatic component to the current military primacy (something already underway) but will not call for ending the occupation and bringing all the troops home, not immediately and not in a phased withdrawal. Given the clear reluctance of James Baker, and the Iraq Study Group (ISG) as a whole, to challenge George Bush’s stated and re-stated (again on Nov 29) commitment that he would not pull the troops out of Iraq until the “mission is accomplished' it should not be surprising that the ISG’s recommendations will be rather modest.
While calls to bring home all the troops in a phased withdrawal (rather than immediately) may yet emerge from establishment sources, there is no indication that the Baker-Hamilton recommendations will include such a call. At most, they will propose what the New York Times called a “pullback” and the Washington Post a “drawdown” of perhaps up to half the 140,000+ troops in Iraq, with even that possibility conditioned on military circumstances on the ground – virtually the same position as Bush’s own “when Iraqis stand up we will stand down.”
In other words, the anxiously-awaited report will likely call for a much less far-reaching policy shift than has been anticipated.
The report will recommend moving some or even all of the officially designated “combat brigades” - but as the New York Times makes clear, “the report leaves unstated whether the 15 combat brigades …would be brought home, or simply pulled back to bases in Iraq or in neighboring countries.” So far, here is no indication that the recommended “pullback” will mean anything other than a shift of some combat troops out of the cities and into the permanent U.S. bases, with perhaps some sector of them being transferred to U.S. bases in Qatar, Kuwait, Saudi Arabia or elsewhere in the region, or to U.S. ships (“over the horizon” or not) deployed in the region. That is not withdrawal, that is not ending the occupation, that is not bringing the troops home.
Most likely, the goal of the Bush administration is to reduce the number of U.S. troops stationed in Iraq from the current 140,000+ to something like 60-70,000. That seems consistent with what the NY Times leak indicated: regardless of the “pullback” of some or even most 'combat troops,' the 70,000 “trainers, logistics experts and members of a rapid reaction force” (such a force should certainly qualify as combat troops as well) will remain in Iraq no matter what.
What comes next are calculated crystals, not part of the page >
-- begin --
Compound: Al2CoIr
Source: Materials Project
Functional: GGA-PBE
Structure: optimized geometry

Summary:
- calculated total energy (eV/atom) = -6.65
- symmetry = No. 225

a = 5.9042 Å, b = 5.9042 Å, c = 5.9042 Å
α = 90.00°, β = 90.00°, γ = 90.00°
Closest atoms and distances in Å follow each position.
Sites, in units of the cell vectors:
Al 0.2500 0.2500 0.2500  4 Co 2.56, 4 Ir 2.56
Al 0.2500 0.2500 0.7500  4 Co 2.56, 4 Ir 2.56
Al 0.2500 0.7500 0.2500  4 Co 2.56, 4 Ir 2.56
Al 0.2500 0.7500 0.7500  4 Co 2.56, 4 Ir 2.56
Al 0.7500 0.2500 0.2500  4 Co 2.56, 4 Ir 2.56
Al 0.7500 0.2500 0.7500  4 Co 2.56, 4 Ir 2.56
Al 0.7500 0.7500 0.2500  4 Co 2.56, 4 Ir 2.56
Al 0.7500 0.7500 0.7500  4 Ir 2.56, 4 Co 2.56
Co 0.0000 0.0000 0.0000  8 Al 2.56
Co 0.0000 0.5000 0.5000  8 Al 2.56
Co 0.5000 0.0000 0.5000  8 Al 2.56
Co 0.5000 0.5000 0.0000  8 Al 2.56
Ir 0.0000 0.0000 0.5000  8 Al 2.56
Ir 0.0000 0.5000 0.0000  8 Al 2.56
Ir 0.5000 0.0000 0.0000  8 Al 2.56
Ir 0.5000 0.5000 0.5000  8 Al 2.56

Compound: LaAlCo4
Source: Materials Project
Functional: GGA-PBE
Structure: optimized geometry

Summary:
- calculated total energy (eV/atom) = -6.36
- symmetry = No. 187

a = 5.2317 Å, b = 5.2317 Å, c = 3.8366 Å
α = 90.00°, β = 90.00°, γ = 120.00°
Closest atoms and distances in Å follow each position.
Sites, in units of the cell vectors:
La 0.0000 0.0000 0.0000  15 Co 3.02-3.24, 3 Al 3.02
Al 0.3333 0.6667 0.0000  6 Co 2.46
Co 0.5038 0.0076 0.5000  6 Co 2.42-2.68, 2 Al 2.46
Co 0.5038 0.4962 0.5000  6 Co 2.42-2.68, 2 Al 2.46
Co 0.6667 0.3333 0.0000  6 Co 2.42
Co 0.9924 0.4962 0.5000  6 Co 2.42-2.68, 2 Al 2.46

Compound: LaAl4Co
Source: Materials Project
Functional: GGA-PBE
Structure: optimized geometry

Summary:
- calculated total energy (eV/atom) = -5.02
- symmetry = No. 51

a = 7.7047 Å, b = 4.0625 Å, c = 7.0048 Å
α = 90.00°, β = 90.00°, γ = 90.00°
Closest atoms and distances in Å follow each position.
Sites, in units of the cell vectors:
La 0.2500 0.0000 0.1128  1 Co 3.02, 12 Al 3.15-3.33
La 0.7500 0.0000 0.8872  1 Co 3.02, 12 Al 3.15-3.33
Al 0.0000 0.0000 0.5000  2 Co 2.31
Al 0.0712 0.5000 0.7917  2 Co 2.57, 2 Al 2.73-2.76
Al 0.2500 0.5000 0.4557  2 Co 2.57, 6 Al 2.73-2.82
Al 0.4288 0.5000 0.7917  2 Co 2.57, 2 Al 2.73-2.76
Al 0.5000 0.0000 0.5000  2 Co 2.31
Al 0.5712 0.5000 0.2083  2 Co 2.57, 2 Al 2.73-2.76
Al 0.7500 0.5000 0.5443  2 Co 2.57, 6 Al 2.73-2.82
Al 0.9288 0.5000 0.2083  2 Co 2.57, 2 Al 2.73-2.76
Co 0.2500 0.0000 0.6813  8 Al 2.31-2.57
Co 0.7500 0.0000 0.3187  8 Al 2.31-2.57

Compound: La3AlCoS7
Source: Materials Project
Functional: GGA-PBE
Structure: optimized geometry

Summary:
- calculated total energy (eV/atom) = -6.20
- E (MP2020) (eV/atom) = -6.492
- symmetry = No. 173

a = 10.1582 Å, b = 10.1582 Å, c = 5.9844 Å
α = 90.00°, β = 90.00°, γ = 120.00°
Closest atoms and distances in Å follow each position.
Sites, in units of the cell vectors:
La 0.1401 0.3710 0.0000  7 S 2.87-3.05
La 0.2309 0.8599 0.0000  7 S 2.87-3.05
La 0.3710 0.2309 0.5000  7 S 2.87-3.05
-- stop --
The call for greater emphasis on military trainers (including 20,000 U.S. troops) reflects a kind of reverse of the Viet Nam trajectory, in which thousands of U.S. advisors backing the South Vietnamese Army soon turned into a major deployment of hundreds of thousands of U.S. troops. Then, as now, the massive deployment of ground troops proved unable to “win” the war, and the Baker-Hamilton team will apparently call for shifting towards a smaller U.S. occupation force with more “embedded advisers” fighting with the Iraqi troops.
'Staying the course” is off the table as a slogan - but “Staying the only-slightly-different course” seems very much what the ISG will propose.
The diplomatic front will apparently hold center stage in the ISG report. But here again there are serious deficiencies. There is no indication in the initial set of New York Times leaks that the ISG will recommend opening serious public negotiations with any of the myriad of resistance forces fighting the U.S. occupation in Iraq.
The report will almost certainly recommend “more robust” regional diplomacy, including engaging with Iran and Syria. That is a good thing, as talking is always better than fighting. It is particularly important because the Bush administration till now has implemented the neo-con unilateralist view that it is neither necessary nor useful to talk with “axis of evil” countries, or indeed any country or political force with which the U.S. disagrees. But it will almost certainly NOT recommend any of the real changes in U.S. diplomatic posture that would be required to give other regional powers, specifically Iran and Syria again, a real motivation to engage with the U.S. Some new regional diplomacy is already underway - Cheney’s visit to Saudi Arabia, and very likely Iraqi President Talabani’s visit to Tehran are linked to this new diplo-initiative, as well of course the stumbling Bush summit in Jordan with Iraqi Prime Minister al-Maliki. But so far there is little evidence of a shift in the substantive U.S. posture.
## Crystal structures, kept here for reference
____________
No. 1
# ReH12C4O5F, relaxed, DFT PBE
data_ReH12C4O5F
_space_group_name_H-M_alt 'P 1'
_space_group_IT_number 1
_space_group_name_Hall 'P 1'
_cell_length_a 6.378
_cell_length_b 6.888
_cell_length_c 12.782
_cell_angle_alpha 78.32
_cell_angle_beta 81.81
_cell_angle_gamma 63.52
loop_
_atom_site_label
_atom_site_type_symbol
_atom_site_fract_x
_atom_site_fract_y
_atom_site_fract_z
_atom_site_occupancy
C1 C 0.571 0.711 0.090 1
C2 C 0.418 0.321 0.627 1
C3 C 0.582 0.679 0.373 1
C4 C 0.162 0.850 0.381 1
C5 C 0.429 0.289 0.910 1
C6 C 0.819 0.325 0.102 1
C7 C 0.838 0.150 0.619 1
C8 C 0.181 0.675 0.898 1
H1 H 0.706 0.738 0.122 1
H2 H 0.844 0.343 0.014 1
H3 H 0.181 0.835 0.866 1
H4 H 0.576 0.843 0.346 1
H5 H 0.409 0.267 0.998 1
H6 H 0.156 0.657 0.986 1
H7 H 0.819 0.165 0.134 1
H8 H 0.988 0.163 0.643 1
H9 H 0.840 0.172 0.531 1
H10 H 0.012 0.837 0.357 1
H11 H 0.843 0.989 0.654 1
H12 H 0.591 0.733 0.002 1
H13 H 0.424 0.157 0.654 1
H14 H 0.408 0.363 0.540 1
H15 H 0.267 0.444 0.666 1
H16 H 0.592 0.637 0.460 1
H17 H 0.039 0.661 0.865 1
H18 H 0.157 0.011 0.346 1
H19 H 0.961 0.339 0.135 1
H20 H 0.733 0.556 0.334 1
H21 H 0.160 0.828 0.469 1
H22 H 0.396 0.825 0.117 1
H23 H 0.294 0.262 0.878 1
H24 H 0.604 0.175 0.883 1
O1 O 0.134 0.643 0.195 1
O2 O 0.177 0.362 0.383 1
O3 O 0.621 0.800 0.801 1
O4 O 0.823 0.638 0.617 1
O5 O 0.373 0.679 0.342 1
O6 O 0.407 0.508 0.869 1
O7 O 0.593 0.492 0.131 1
O8 O 0.627 0.321 0.658 1
O9 O 0.866 0.357 0.805 1
O10 O 0.379 0.200 0.199 1
Re1 Re 0.661 0.592 0.733 1
Re2 Re 0.339 0.408 0.267 1
F1 F 0.354 0.736 0.673 1
F2 F 0.646 0.264 0.327 1
# - Raw total energy: -5.694 eV per atom
# - Crystal system: triclinic
# - Calculated volume: 10.68 A^3/atom

---

No. 2
# ZrH8C2SO2F4, relaxed, DFT PBE
data_ZrH8C2SO2F4
_space_group_name_H-M_alt 'P 1'
_space_group_IT_number 1
_space_group_name_Hall 'P 1'
_cell_length_a 7.936
_cell_length_b 7.936
_cell_length_c 15.744
_cell_angle_alpha 90.00
_cell_angle_beta 90.00
_cell_angle_gamma 119.01
loop_
_atom_site_label
_atom_site_type_symbol
_atom_site_fract_x
_atom_site_fract_y
_atom_site_fract_z
_atom_site_occupancy
O1 O 0.931 0.067 0.248 1
O2 O 0.790 0.155 0.424 1
O3 O 0.431 0.567 0.252 1
O4 O 0.290 0.655 0.076 1
O5 O 0.067 0.931 0.752 1
O6 O 0.155 0.790 0.576 1
O7 O 0.567 0.431 0.748 1
O8 O 0.655 0.290 0.924 1
H1 H 0.706 0.509 0.323 1
H2 H 0.009 0.206 0.823 1
H3 H 0.270 0.512 0.504 1
H4 H 0.837 0.959 0.212 1
H5 H 0.039 0.162 0.213 1
H6 H 0.708 0.308 0.566 1
H7 H 0.662 0.539 0.713 1
H8 H 0.512 0.701 0.479 1
H9 H 0.201 0.012 0.979 1
H10 H 0.512 0.270 0.496 1
H11 H 0.208 0.808 0.934 1
H12 H 0.162 0.039 0.787 1
H13 H 0.715 0.305 0.280 1
H14 H 0.215 0.805 0.220 1
H15 H 0.308 0.708 0.434 1
H16 H 0.808 0.208 0.066 1
H17 H 0.518 0.268 0.349 1
H18 H 0.539 0.662 0.287 1
H19 H 0.701 0.512 0.521 1
H20 H 0.768 0.018 0.849 1
H21 H 0.268 0.518 0.651 1
H22 H 0.805 0.215 0.780 1
H23 H 0.305 0.715 0.720 1
H24 H 0.206 0.009 0.177 1
H25 H 0.337 0.459 0.288 1
H26 H 0.012 0.770 0.004 1
H27 H 0.012 0.201 0.021 1
____________
## Back to the piece
The Bush administration position seems to be that all they need to offer to Iran, in return for a host of significant Iranian precondition concessions (on the nuclear, Iraq and Lebanon fronts), is the opportunity to talk to some U.S. official about a singularly limited - “stabilizing Iraq” - agenda. Similarly, Damascus is expected to be so grateful for the opportunity to talk to someone in Washington that Syrian officials will accept a set of preconditions without any U.S. commitment even to talk about issues important to Syria.
If the U.S. was serious about diplomacy - and if the Baker-Hamilton ISG was serious about new diplomatic recommendations - the keys would lie in explicit U.S. commitments to negotiate with each regional actor on the basis of equality. That means if the U.S. wants to talk with Iran about “helping to stabilize” Iraq, Washington must also be prepared to treat Iran respectfully, as what Zbigniew Brzezinski called a “serious country.” That means negotiating on such issues as a providing Iran security guarantees, ending economic sanctions and threats of regime change, and dealing with Iran’s nuclear capacity in the context of efforts to create a weapons of mass destruction-free zone throughout the Middle East (something already an official, if rarely acknowledged, U.S. position defined in Article 14 of UN Security Council resolution 687 ending the 1991 Gulf War). For Syria, the U.S. would expand the issues on the table beyond demanding that Syria tighten control of its border with Iraq and accept an international investigation into possible Syrian involvement in the assassination of Lebanese Prime Minister Hariri, to include issues important to Syria such as pressuring Israel to end its almost 40-year-long occupation of the Golan Heights, ending U.S. efforts to split the Syrian government, and removing Syria from the so-called “terrorism list.”
Possibilities for diplomacy are endless - but there is no indication so far that the Baker-Hamilton recommendations will go beyond the limited only-U.S.-opinions-matter approach of the existing Bush administration’s diplomatic outreach.
The information we have so far indicates that the Iraq Study Group, which was so eagerly anticipated to come up with new approaches for ending the war in Iraq, has fallen far short. The insistence on keeping it “bi-partisan” - instead of non-partisan - and on relying solely on Washington insiders instead of reaching out to analysts with new and different ideas, seems to have succeeded in insuring that nothing the Baker-Hamilton team calls for will seriously challenge the existing stalemate facing the Bush administration in Iraq. For several weeks already Bush officials have been downplaying the significance of the ISG, including setting in motion competing “internal” administration reviews of Iraq policy, one based at the Pentagon and another at the State Department. This will allow the White House to claim they're taking bits and pieces from many places, not being bound by any one opinion… and ultimately, not moving to end the war.
There are significant changes underway in Iraq, driven not by the ISG’s recommendations but by the serious escalation in violence, the failure of U.S. policies in Iraq overall, and the nose-dive of U.S. influence and power to control events throughout the Middle East region. It is those failures that are driving developments such as the reported U.S. covert overtures to some resistance forces in Iraq, and the possibility that efforts are underway to at least consider shifting U.S. support away from the al-Maliki-led Iraqi government to a different set of Iraqi actors, including Baathist, other Sunni, and a different set of Shi’a forces to mobilize against Moqtada al-Sadr’s militia (major U.S. media outlets have already shifted from identifying al-Sadr as 'the fiery young cleric' to 'anti-American cleric') and other resistance forces.
At the end of the day, the Baker-Hasmilton commission's recommendations are likely to change very little. The basic demand of the U.S. and global peace movements, the only way to end the escalating death and destruction in Iraq, remains unchanged:
Bring All the Troops Home Now, Close the Permanent U.S. Bases, Bring Home the Mercenaries, Give Up Control of the Oil, Stop Supporting Israel's Occupation of Palestinian Land, and End the Military and Economic Occupation of Iraq!